
Feb 28, 2014

Naturopathic Medicine Supports Cancer Patients

## Records of crystals, as found in the file
=====
No. 1
A plane-wave DFT calculation with GGA-PBE was carried out for a relaxed structure of TlNCl2.

Properties
Mass density   3.09 g/cm3
Electronic total energy   -3.011 eV per atom
Uncorrected formation energy   56 kJ/mol of atoms

Cell lengths 7.819, 7.819, 7.819 Å; angles 37.02, 37.02, 37.02 degrees
Last column: magnetic moment on the atom in μB.
Atoms (fractional coordinates):
Tl (0.500, 0.500, 0.500)  0.01
N (0.000, 0.000, 0.000)  1.23
Cl (0.904, 0.904, 0.904)  0.07
Cl (0.096, 0.096, 0.096)  0.07

No. 2
A plane-wave DFT calculation with GGA-PBE was carried out for a relaxed structure of UF4.

Properties
Mass density   6.57 g/cm3
Electronic total energy   -7.298 eV per atom
Uncorrected formation energy   -342 kJ/mol of atoms

Cell lengths 5.461, 5.463, 5.978 Å; angles 117.19, 90.00, 90.00 degrees
Last column: magnetic moment on the atom in μB.
Atoms (fractional coordinates):
U (0.000, 0.000, 0.000)  2.01
U (0.500, 0.500, 0.000)  2.01
F (0.193, 0.583, 0.780)  -0.01
F (0.193, 0.417, 0.220)  -0.01
F (0.307, 0.083, 0.780)  -0.01
F (0.807, 0.197, 0.780)  -0.01
F (0.693, 0.303, 0.220)  -0.01
F (0.807, 0.803, 0.220)  -0.01
F (0.693, 0.697, 0.780)  -0.01
F (0.307, 0.917, 0.220)  -0.01

No. 3
A plane-wave DFT calculation with GGA-PBE was carried out for a relaxed structure of PrCd6Ag4.

Properties
Mass density   7.73 g/cm3
Electronic total energy   -2.015 eV per atom
ΔE_f   -0.045 eV per atom

Cell lengths 7.270, 7.270, 7.270 Å; angles 88.38, 120.94, 120.94 degrees
Atoms (fractional coordinates):
Pr (0.000, 0.000, 0.000)
Cd (0.000, 0.893, 0.521)
Cd (0.000, 0.521, 0.893)
Cd (0.629, 0.107, 0.107)
Cd (0.500, 0.000, 0.500)
Cd (0.371, 0.479, 0.479)
Cd (0.500, 0.500, 0.000)
Ag (0.000, 0.256, 0.595)
Ag (0.662, 0.405, 0.405)
Ag (0.000, 0.595, 0.256)
Ag (0.338, 0.744, 0.744)

No. 4
A plane-wave DFT calculation with GGA-PBE was carried out for a relaxed structure of Zr2CoBr.

Properties
Mass density   5.15 g/cm3
Electronic total energy   -6.260 eV per atom
Uncorrected formation energy   20 kJ/mol of atoms

Cell lengths 5.941, 5.941, 7.217 Å; angles 65.69, 65.69, 90.00 degrees
=====

Naturopathic medicine for cancer treatments is a valuable support for patients.  Such prescriptions are made in addition to and not instead of conventional care; any suggestions, recommendations or prescriptions, like all good medicine, are individualized to the patient, reviewed at regular intervals and understood in their relationship to conventional care. Naturopathic doctors are poised to work collaboratively with medical teams to offer their expertise in natural medicine.

-- Between two parts of the entry: crystal structures --
+++
[1]
Crystalline GeMo at its relaxed geometry. Source: Alexandria via LeMat-Bulk, functional PBE-GGA.

The space group is I-43m (No. 217) and the conventional cell measures 7.8537, 7.8537 and 7.8537 Å, with angles of 90.00, 90.00 and 90.00 degrees. Symmetry generates all atoms from Ge at (0.1950, 0.1950, 0.1950) and Mo at (0.1180, 0.1180, 0.8820).

The value obtained for the mass density is 4.623 g cm⁻³. The formation energy comes out at 22.1 kcal/mol of atoms.

---

[2]
Crystalline SbPO2 at its relaxed geometry. Source: Alexandria via LeMat-Bulk, functional PBE-GGA.

The space group is Fd-3m (No. 227, origin choice 2) and the conventional cell measures 8.0179, 8.0179 and 8.0179 Å, with angles of 90.00, 90.00 and 90.00 degrees. Symmetry generates all atoms from Sb at (0.1250, 0.1250, 0.1250), P at (0.1250, 0.1250, 0.6250) and O at (0.0000, 0.0000, 0.5000).

The value obtained for the mass density is 4.761 g cm⁻³. For the uncorrected formation energy, the calculation gives -42 kJ per mole of atoms. The distance to the lowest polymorph of the same formula comes out at 66 meV per atom.

---

[3]
Crystalline LiBeCu2Sn at its relaxed geometry. Source: Alexandria via LeMat-Bulk, functional PBE-GGA.

The space group is P4/mmm (No. 123) and the conventional cell measures 4.2173, 4.2173 and 4.1814 Å, with angles of 90.00, 90.00 and 90.00 degrees. Symmetry generates all atoms from Li at (0.0000, 0.0000, 0.0000), Be at (0.0000, 0.0000, 0.5000), Cu at (0.0000, 0.5000, 0.0000) and Sn at (0.5000, 0.5000, 0.5000).

The value obtained for the mass density is 5.845 g cm⁻³. The formation energy comes out at 14.7 kcal/mol of atoms.
+++
-- So much for the crystal structures --

Here are the main areas where naturopathic doctors might weigh in:

Between two parts of the page: crystal structures:
+++
(1)
The following is a DFT calculation (PBE-GGA) of a relaxed PmSmSc2 crystal.

Cell: 5.014 5.014 4.599 Å, 90.00 90.00 90.00°
Positions (direct):
Pm (0.000, 0.000, 0.000)
Sm (0.500, 0.500, 0.000)
Sc (0.000, 0.500, 0.500)
Sc (0.500, 0.000, 0.500)

Values from the calculation:
* SG: No. 123
* calculated volume: 28.91 A^3/atom
* energy relative to the elements: 5 kJ per mole of atoms


(2)
The following is a DFT calculation (PBE-GGA) of a relaxed Pm5Sm2Sc2 crystal.

Cell: 10.097 10.097 8.593 Å, 102.44 102.44 19.84°
Positions (direct):
Pm (0.000, 0.000, 0.000)
Pm (0.219, 0.219, 0.648)
Pm (0.337, 0.337, 0.013)
Pm (0.663, 0.663, 0.987)
Pm (0.781, 0.781, 0.352)
Sm (0.055, 0.055, 0.662)
Sm (0.945, 0.945, 0.338)
Sc (0.400, 0.400, 0.653)
Sc (0.600, 0.600, 0.347)

Values from the calculation:
* SG: No. 12
* calculated volume: 32.24 A^3/atom
* energy relative to the elements: 12 kJ per mole of atoms


(3)
The following is a DFT calculation (PBE-GGA) of a relaxed Pm2Sm3Sc8 crystal.

Cell: 8.358 8.358 5.778 Å, 106.85 106.85 81.67°
Positions (direct):
Pm (0.203, 0.203, 0.338)
Pm (0.797, 0.797, 0.662)
Sm (0.262, 0.738, 0.000)
Sm (0.500, 0.500, 0.500)
Sm (0.738, 0.262, 0.000)
Sc (0.061, 0.061, 0.764)
Sc (0.061, 0.581, 0.313)
Sc (0.333, 0.333, 0.942)
Sc (0.419, 0.939, 0.687)
Sc (0.581, 0.061, 0.313)
Sc (0.667, 0.667, 0.058)
Sc (0.939, 0.419, 0.687)
Sc (0.939, 0.939, 0.236)

Values from the calculation:
* SG: No. 12
* calculated volume: 28.37 A^3/atom
* energy relative to the elements: 16 kJ per mole of atoms


(4)
The following is a DFT calculation (PBE-GGA) of a relaxed Pm5Sm8Sc crystal.

Cell: 8.530 8.530 8.530 Å, 110.59 110.59 107.25°
Positions (direct):
Pm (0.000, 0.000, 0.000)
Pm (0.317, 0.212, 0.686)
Pm (0.370, 0.683, 0.895)
Pm (0.525, 0.630, 0.314)
Pm (0.788, 0.475, 0.105)
Sm (0.023, 0.762, 0.603)
Sm (0.058, 0.329, 0.895)
Sm (0.159, 0.419, 0.397)
Sm (0.238, 0.841, 0.261)
Sm (0.435, 0.163, 0.105)
Sm (0.581, 0.977, 0.739)
Sm (0.671, 0.565, 0.729)
Sm (0.837, 0.942, 0.271)
Sc (0.750, 0.250, 0.500)

Values from the calculation:
* SG: No. 82
* calculated volume: 34.09 A^3/atom
* energy relative to the elements: 24 kJ per mole of atoms


(5)
The following is a DFT calculation (PBE-GGA) of a relaxed PmSm3Sc crystal.

Cell: 11.124 11.124 6.610 Å, 93.50 93.50 52.50°
Positions (direct):
Pm (0.101, 0.899, 0.750)
Pm (0.248, 0.752, 0.250)
Pm (0.752, 0.248, 0.750)
Pm (0.899, 0.101, 0.250)
Sm (0.045, 0.255, 0.586)
Sm (0.086, 0.585, 0.925)
Sm (0.255, 0.045, 0.086)
Sm (0.366, 0.482, 0.605)
Sm (0.415, 0.914, 0.575)
Sm (0.482, 0.366, 0.105)
Sm (0.518, 0.634, 0.895)
Sm (0.585, 0.086, 0.425)
Sm (0.634, 0.518, 0.395)
Sm (0.745, 0.955, 0.914)
Sm (0.914, 0.415, 0.075)
Sm (0.955, 0.745, 0.414)
Sc (0.221, 0.347, 0.318)
Sc (0.347, 0.221, 0.818)
Sc (0.653, 0.779, 0.182)
Sc (0.779, 0.653, 0.682)

Values from the calculation:
* SG: No. 15
* calculated volume: 32.37 A^3/atom
* energy relative to the elements: 8 kJ per mole of atoms


(6)
+++

1. Nutrition: Food remains at very least one of our best medicines. One could expect recommendations on which foods are best to promote general health based on the individual person and their diagnosis. Also made are suggestions for a particular food or foods that have specific biochemical effects sought. One might also expect to be instructed as to which foods and beverages to avoid.
2. Botanical medicine: Many of our current pharmaceuticals are derived from plants, which can offer powerful and effective medicinal impact. A naturopathic doctor may recommend herbs that can be taken in a number of various forms and/or in combination with other herbs.
3. Supplements: Will likely be recommended to augment an appropriate diet and to address dietary deficiencies. Supplements may be prescribed for general purpose or for specific action. They may contain vitamins, minerals or herbs and may be utilized as single items or in combination.
4. Psychological/emotional elements: Naturopathic doctors, like medical colleagues, appreciate the role that the emotions play in health and are well equipped to refer patients as needed for that care. The field of psychoneuroimmunolgy is established and growing; it is imperative to address how the mind and emotions impact health. Many naturopathic doctors will also suggest stress reduction techniques such as mindfulness meditation, yoga, qigong, biofeedback, art therapy, movement therapy... the list is long.
5. Exercise is an important part of the naturopathic prescription for those with cancer. The recommendations are tailored to the patient, previous exercise history and current physical condition.
6. Homeopathy is a system of medicine that uses very dilute substances to address symptoms a patient may have. It can be used in a general way to support overall health or prescribed specifically for a particular set of symptoms, such as for pain management.
7. Acupuncture: Some naturopathic doctors are also trained in acupuncture and will offer that as part of a cancer prescription.
8. Depending on state licensure scope of practice rules, naturopathic doctors may have some prescriptive authority.

Understanding drug-nutrient interactions, drug-herb interaction and both the possible interfering or potentiating effect of natural medicines recommended is important and is an area where naturopathic doctors are well trained and experienced. There is a plethora of information about natural medicine approaches available to cancer patients; some accurate, some misinformed and some downright dangerous. For instance, green tea may well have positive impact for some, but for other cancer patients undergoing care it may interfere and may be detrimental.  Having a naturopathic guide, who has extensive training and expertise to help navigate my course, especially when my focus at this time is on resting and healing, as opposed to doing my own research to investigate options, has been an invaluable gift and complement to the rest of my medical care.